NEW YORK (GenomeWeb News) – Through a phylogenetic analysis, researchers in the UK have traced the origin of human cases of community-acquired methicillin-resistant Staphyloccosus aureus to strains circulating in cows.
As the University of Edinburgh's Ross Fitzgerald and his colleagues reported in mBio today, though, those S. aureus strains didn't develop resistance to methicillin until after they crossed into people.
"Bovine strains seemed to occupy deeper parts of the phylogenetic tree — they were closer to the root than the human strains. This led us to conclude that the strains infecting humans originated in cows and that they had evolved from bovine to human host jumps," Fitzgerald, who also is a professor at the Roslin Institute, said in a statement.
While many MRSA cases are hospital-acquired infections, the US Centers for Disease Control and Prevention has warned that community-acquired cases are on the rise. Between 1999 and 2006, the agency has reported, the number of CA-MRSA cases rose more than seven fold. These cases typically infect the skin and soft tissue.
For this study, Fitzgerald and his colleagues gathered 220 samples of a specific S. aureus strain, the CC97 clone, that had been isolated from people, cows, pigs, and goats from 18 countries spanning four continents between 1956 and 2012. The CC97 clone, the researchers noted, appears to be an emerging cause of MRSA infections in people. In Denmark, where submission of MRSA to a national laboratory for genotyping is required, the number of CC97 cases has risen from two in 2007 to 22 in 2011.
The researchers performed deep whole-genome sequencing using the Illumina platform on 43 of the CC97 isolates, including 16 MRSA isolates. The core CC97 genome, they noted, contains slightly more than 2 million base pairs and 5.425 SNPs.
The researchers also sequenced the related human-specific ST28 strain as an outgroup.
Using a Bayesian approach, the investigators developed a phylogenetic tree of the CC97 strain. Overall, they noted, the isolates are grouped on the tree by the hosts they infect, and there is wide diversity among the livestock isolates, as those lines branch deeply into the tree.
The human isolates, by contrast, form shallow branches representing two clades, called A and B. Further, most of the livestock clades are basal to the human ones, and a Markov model indicates a bovine ancestor for both of the human clades, the researchers reported.
"These data indicate that CC97 isolates circulating among human populations are the result of livestock-to-human host jumps which have occurred on at least two independent occasions," the researchers write.
To determine the timing of those jumps, the researchers came up with a mutation rate for the CC97 lineage and then traced the lines back in time. The jump from cows to people for clade A, they determined, was between 1894 and 1977, and between 1938 and 1966 for clade B.
**Unrelated to this text: quantum chemistry results:**
=====
Record 1
Computed, not measured: 14 unconnected molecules or ions with the total composition C74H182N10O22 in a non-equilibrium geometry, with ωB97M-V with the def2-TZVPD basis set.

```
288
Properties=species:S:1:pos:R:3:lowdin_charge:R:1
C 13.29 -14.62 17.91 -0.10
O 13.01 -15.88 18.54 -0.18
C 13.93 -16.80 17.94 -0.26
C 13.61 -18.20 18.35 -0.21
N 13.72 -18.34 19.81 -0.04
C 13.33 -19.68 20.27 -0.21
C 13.24 -19.64 21.76 -0.25
O 12.52 -20.73 22.25 -0.22
C 12.35 -20.69 23.62 -0.13
H 13.41 -14.80 16.84 0.08
H 14.23 -14.26 18.36 0.09
H 12.49 -13.85 18.00 0.09
H 14.98 -16.57 18.09 0.13
H 13.81 -16.63 16.88 0.10
H 14.33 -18.84 17.78 0.14
H 12.65 -18.56 18.03 0.11
H 13.05 -17.71 20.16 0.08
H 14.12 -20.39 20.03 0.12
H 12.35 -20.03 19.84 0.12
H 12.72 -18.72 22.08 0.12
H 14.26 -19.60 22.22 0.14
H 13.31 -20.89 24.10 0.10
H 11.61 -21.44 23.88 0.06
H 11.88 -19.78 24.02 0.10
C 8.09 -17.06 26.11 -0.11
O 8.64 -17.60 27.29 -0.22
C 8.66 -16.71 28.40 -0.21
C 9.81 -17.19 29.27 -0.19
N 9.40 -18.22 30.24 -0.06
C 9.65 -19.57 29.86 -0.23
C 9.38 -20.56 30.96 -0.24
O 10.24 -20.25 32.05 -0.18
C 10.16 -21.25 33.10 -0.06
H 8.19 -17.79 25.33 0.05
H 8.70 -16.20 25.72 0.10
H 7.06 -16.83 26.15 0.07
H 7.69 -16.78 28.95 0.13
H 8.88 -15.69 28.03 0.12
H 10.30 -16.37 29.83 0.13
H 10.58 -17.54 28.59 0.11
H 9.83 -17.97 31.15 0.12
H 10.71 -19.72 29.59 0.13
H 9.06 -19.80 28.96 0.10
H 9.56 -21.56 30.58 0.06
H 8.28 -20.65 31.28 0.13
H 9.89 -22.22 32.71 0.07
H 9.38 -20.97 33.80 0.08
H 11.07 -21.23 33.66 0.08
C 6.41 -21.54 16.44 -0.16
O 7.42 -20.88 17.11 -0.19
C 8.52 -21.74 17.40 -0.20
C 9.28 -21.21 18.65 -0.21
N 8.50 -21.35 19.87 -0.05
C 9.27 -21.12 21.07 -0.18
C 9.61 -19.61 21.31 -0.19
O 8.44 -18.86 21.56 -0.22
C 8.62 -17.49 21.67 -0.11
H 5.67 -22.00 17.15 0.09
H 6.71 -22.34 15.73 0.09
H 5.93 -20.79 15.75 0.10
H 9.17 -21.67 16.55 0.11
H 8.23 -22.75 17.70 0.11
H 9.54 -20.18 18.39 0.11
H 10.19 -21.81 18.77 0.11
H 7.75 -20.63 19.84 0.12
H 10.19 -21.64 20.97 0.09
H 8.73 -21.59 21.92 0.11
H 10.13 -19.18 20.45 0.11
H 10.29 -19.60 22.19 0.10
H 9.25 -17.20 20.81 0.09
H 9.10 -17.20 22.61 0.08
H 7.65 -17.02 21.66 0.08
C 15.65 -23.96 27.59 -0.10
O 14.37 -23.84 27.03 -0.21
C 14.25 -24.22 25.66 -0.20
C 12.82 -23.96 25.16 -0.17
N 11.81 -24.90 25.56 -0.04
C 11.77 -25.27 26.99 -0.14
C 11.38 -24.05 27.84 -0.22
O 11.36 -24.42 29.21 -0.14
C 10.99 -23.29 29.89 -0.16
H 16.13 -24.91 27.30 0.09
H 15.50 -24.07 28.67 0.09
H 16.18 -23.05 27.43 0.08
H 14.55 -25.23 25.56 0.07
H 15.02 -23.73 25.06 0.12
H 12.91 -23.92 24.10 0.08
H 12.62 -22.93 25.54 0.11
H 11.75 -25.73 24.99 0.07
H 12.70 -25.68 27.39 0.11
H 10.99 -26.04 27.18 0.11
H 10.46 -23.61 27.53 0.08
H 12.15 -23.32 27.64 0.10
H 10.88 -23.51 30.96 0.10
H 10.09 -22.91 29.42 0.06
H 11.76 -22.51 29.85 0.10
C 6.01 -24.62 20.56 -0.11
O 4.90 -23.90 21.08 -0.22
C 3.68 -24.27 20.46 -0.22
C 2.51 -23.71 21.31 -0.18
N 2.71 -22.31 21.68 -0.05
C 2.78 -21.38 20.60 -0.21
C 4.07 -20.54 20.55 -0.17
O 4.13 -19.77 21.79 -0.20
C 5.38 -19.21 22.05 -0.13
H 6.91 -24.15 20.97 0.07
=====
The bacteria that made those jumps, though, were unlikely to be resistant to methicillin. Of the 17 bovine isolates the researchers tested, seven were sensitive to all antimicrobials tried, while 20 of the 23 human isolates were resistant to at least one drug. All the bovine isolates were sensitive to methicillin.
Further, the earliest human isolate, collected in Denmark in 1980, was sensitive to all antibiotics tested, though all other members of its clade were resistant to multiple antibiotic classes.
Mobile elements, the researchers added, may have helped the strains adapt to their hosts. For example, a number of the livestock isolates contain a mobile genetic element encoding with the LukM/F leukotoxin or the von Willenbrand binding protein — which are ruminant-specific — and the human isolates do not have those element.
However, 19 of the 23 human isolates had a beta-toxin converting phage containing an immune evasion cluster that none of the bovine or porcine isolates had. Further, the two human CC97 clades had variations in their distributions of such IEC elements.
"It seems like these elements, such as pathogenicity islands, phages, and plasmids, are important in order for the bacterium to adapt to different host species," Fitzgerald added. "The reverse is true as well: the bovine strains have their own mobile genetic elements."
Overall, the researchers said their study indicated that livestock could be a reservoir of pathogenic bacteria that can cross the species barrier and adapt to new hosts.
"Improved biosecurity and hygiene control measures which prevent the spread of bacterial flora between livestock and human hosts may limit opportunities for successful livestock-to-human transmission," the researchers noted. "Furthermore, regular surveillance of the microbiota in livestock and humans may facilitate the early identification of emergent clones with the capacity to transmit and cause disease among human populations."